=====
[1]
For Mg8V5O16, a cell relaxed with PBE+U gives the simulated X-ray diffraction stick pattern in this record (CuKα).
Peak positions follow from Bragg's law for the DFT cell and can differ from measured ones.

The 6 most intense peaks (2θ = 5–70°), by intensity:
2θ 42.3, I = 1000; 2θ 18.0, I = 709; 2θ 42.9, I = 475; 2θ 61.4, I = 362; 2θ 34.8, I = 348; 2θ 62.2, I = 192

Atomic structure:
```
data_Mg8V5O16
_space_group_name_H-M_alt 'P 1'
_space_group_IT_number 1
_cell_length_a 6.041
_cell_length_b 6.045
_cell_length_c 10.286
_cell_angle_alpha 73.66
_cell_angle_beta 73.57
_cell_angle_gamma 60.43
loop_
_space_group_symop_operation_xyz
'x,y,z'
loop_
_atom_site_label
_atom_site_fract_x
_atom_site_fract_y
_atom_site_fract_z
Mg1 0.000 0.000 0.000
Mg2 0.001 0.501 0.000
Mg3 0.187 0.675 0.432
Mg4 0.245 0.749 0.747
Mg5 0.499 0.006 0.997
Mg6 0.501 0.496 0.995
Mg7 0.753 0.245 0.254
Mg8 0.809 0.315 0.575
V1 0.245 0.245 0.251
V2 0.249 0.258 0.748
V3 0.493 0.997 0.502
V4 0.749 0.733 0.256
V5 0.756 0.752 0.749
O1 0.113 0.613 0.133
O2 0.117 0.145 0.124
O3 0.117 0.621 0.636
O4 0.154 0.115 0.630
O5 0.356 0.378 0.879
O6 0.373 0.871 0.882
O7 0.390 0.336 0.370
O8 0.390 0.882 0.363
O9 0.609 0.112 0.635
O10 0.613 0.658 0.630
O11 0.628 0.122 0.124
O12 0.645 0.633 0.131
O13 0.844 0.874 0.364
O14 0.872 0.392 0.364
O15 0.876 0.857 0.881
O16 0.880 0.385 0.877
```

---

[2]
For MgV2O6, a cell relaxed with PBE+U gives the simulated X-ray diffraction stick pattern in this record (CuKα).
Peak positions follow from Bragg's law for the DFT cell and can differ from measured ones.

The 6 most intense peaks (2θ = 5–70°), by intensity:
2θ 25.1, I = 1000; 2θ 33.1, I = 903; 2θ 21.3, I = 838; 2θ 27.3, I = 478; 2θ 51.5, I = 374; 2θ 56.3, I = 322

Atomic structure:
```
data_MgV2O6
_space_group_name_H-M_alt 'P 1 21 1'
_space_group_IT_number 4
_cell_length_a 5.250
_cell_length_b 4.825
_cell_length_c 8.339
_cell_angle_alpha 90.00
_cell_angle_beta 90.07
_cell_angle_gamma 90.00
loop_
_space_group_symop_operation_xyz
'x,y,z'
'-x,y+1/2,-z'
loop_
_atom_site_label
_atom_site_fract_x
_atom_site_fract_y
_atom_site_fract_z
Mg1 0.246 0.000 0.248
V1 0.251 0.540 0.483
V2 0.251 0.631 0.944
O1 0.009 0.884 0.063
O2 0.011 0.859 0.429
O3 0.249 0.745 0.758
O4 0.251 0.411 0.296
O5 0.484 0.888 0.063
O6 0.485 0.863 0.429
```

---

[3]
For Mg2V9O13, a cell relaxed with PBE+U gives the simulated X-ray diffraction stick pattern in this record (CuKα).
Peak positions follow from Bragg's law for the DFT cell and can differ from measured ones.

The 6 most intense peaks (2θ = 5–70°), by intensity:
2θ 33.6, I = 1000; 2θ 34.8, I = 771; 2θ 42.1, I = 755; 2θ 10.5, I = 720; 2θ 43.9, I = 566; 2θ 62.4, I = 527

Atomic structure:
```
data_Mg2V9O13
_space_group_name_H-M_alt 'C 1 2/m 1'
_space_group_IT_number 12
_cell_length_a 10.028
_cell_length_b 2.977
_cell_length_c 17.204
_cell_angle_alpha 90.00
_cell_angle_beta 100.58
_cell_angle_gamma 90.00
loop_
_space_group_symop_operation_xyz
'x,y,z'
'-x,-y,-z'
'-x,y,-z'
'x,-y,z'
'x+1/2,y+1/2,z'
'-x+1/2,-y+1/2,-z'
'-x+1/2,y+1/2,-z'
'x+1/2,-y+1/2,z'
loop_
_atom_site_label
_atom_site_fract_x
_atom_site_fract_y
_atom_site_fract_z
Mg1 0.210 0.000 0.233
V1 0.000 0.500 0.500
V2 0.013 0.000 0.668
V3 0.065 0.000 0.872
V4 0.147 0.500 0.044
V5 0.247 0.000 0.581
O1 0.000 0.000 0.000
O2 0.083 0.500 0.152
O3 0.117 0.500 0.618
O4 0.118 0.500 0.310
O5 0.125 0.000 0.457
O6 0.141 0.000 0.766
O7 0.203 0.500 0.927
```

---

[4]
For MgV4O9, a cell relaxed with PBE+U gives the simulated X-ray diffraction stick pattern in this record (CuKα).
Peak positions follow from Bragg's law for the DFT cell and can differ from measured ones.

The 6 most intense peaks (2θ = 5–70°), by intensity:
2θ 30.1, I = 1000; 2θ 18.0, I = 510; 2θ 34.1, I = 434; 2θ 49.0, I = 301; 2θ 44.0, I = 260; 2θ 58.6, I = 203

Atomic structure:
```
data_MgV4O9
_space_group_name_H-M_alt 'P 4/n'
_space_group_IT_number 85
_cell_length_a 8.307
_cell_length_b 8.307
_cell_length_c 4.939
_cell_angle_alpha 90.00
_cell_angle_beta 90.00
=====
Now restate the lines further up up to the one that holds "[2]", that line included.
[1]
For Mg8V5O16, a cell relaxed with PBE+U gives the simulated X-ray diffraction stick pattern in this record (CuKα).
Peak positions follow from Bragg's law for the DFT cell and can differ from measured ones.

The 6 most intense peaks (2θ = 5–70°), by intensity:
2θ 42.3, I = 1000; 2θ 18.0, I = 709; 2θ 42.9, I = 475; 2θ 61.4, I = 362; 2θ 34.8, I = 348; 2θ 62.2, I = 192

Atomic structure:
```
data_Mg8V5O16
_space_group_name_H-M_alt 'P 1'
_space_group_IT_number 1
_cell_length_a 6.041
_cell_length_b 6.045
_cell_length_c 10.286
_cell_angle_alpha 73.66
_cell_angle_beta 73.57
_cell_angle_gamma 60.43
loop_
_space_group_symop_operation_xyz
'x,y,z'
loop_
_atom_site_label
_atom_site_fract_x
_atom_site_fract_y
_atom_site_fract_z
Mg1 0.000 0.000 0.000
Mg2 0.001 0.501 0.000
Mg3 0.187 0.675 0.432
Mg4 0.245 0.749 0.747
Mg5 0.499 0.006 0.997
Mg6 0.501 0.496 0.995
Mg7 0.753 0.245 0.254
Mg8 0.809 0.315 0.575
V1 0.245 0.245 0.251
V2 0.249 0.258 0.748
V3 0.493 0.997 0.502
V4 0.749 0.733 0.256
V5 0.756 0.752 0.749
O1 0.113 0.613 0.133
O2 0.117 0.145 0.124
O3 0.117 0.621 0.636
O4 0.154 0.115 0.630
O5 0.356 0.378 0.879
O6 0.373 0.871 0.882
O7 0.390 0.336 0.370
O8 0.390 0.882 0.363
O9 0.609 0.112 0.635
O10 0.613 0.658 0.630
O11 0.628 0.122 0.124
O12 0.645 0.633 0.131
O13 0.844 0.874 0.364
O14 0.872 0.392 0.364
O15 0.876 0.857 0.881
O16 0.880 0.385 0.877
```

---

[2]